Please restate the data below from the first line to the one with "0.7026 0.3994" verbatim.
~~~
(1)
Computed, not measured: a relaxed structure of LaDyY at the GGA-PBE level of DFT.

```
LaDyY
1.0
5.721 0.000 0.000
-2.860 4.954 0.000
0.000 0.000 3.535
La Dy Y
1 1 1
direct
0.000 0.000 0.000
0.333 0.667 0.000
0.667 0.333 0.500
```

Space-group type: P-6m2
Excess energy over the best structure of this formula in the dataset in kJ/mol of formula units: 15
Energy relative to the elements in eV per atom: 0.070

=====

(2)
Computed, not measured: a relaxed structure of Ca4Te3S at the GGA-PBE level of DFT.

```
Ca4Te3S
1.0
7.650 0.000 0.000
0.000 8.835 0.000
-2.544 0.000 7.178
Ca Te S
8 6 2
direct
0.229 0.114 0.005
0.229 0.886 0.505
0.243 0.362 0.487
0.243 0.638 0.987
0.757 0.362 0.013
0.757 0.638 0.513
0.771 0.114 0.495
0.771 0.886 0.995
0.000 0.373 0.750
0.000 0.627 0.250
0.500 0.123 0.750
0.500 0.374 0.250
0.500 0.626 0.750
0.500 0.877 0.250
0.000 0.120 0.250
0.000 0.880 0.750
```

Space-group type: P2/c

=====

(3)
Computed, not measured: a relaxed structure of LiVRh at the GGA-PBE level of DFT.

```
LiVRh
1.0
4.048 0.000 0.000
-2.024 3.505 0.000
0.000 0.000 5.618
Li V Rh
2 2 2
direct
0.333 0.667 0.426
0.667 0.333 0.574
0.333 0.667 0.902
0.667 0.333 0.098
0.000 0.000 0.243
0.000 0.000 0.757
```

Space-group type: P-3m1
Excess energy over the best structure of this formula in the dataset in kJ/mol of formula units: 38
Energy relative to the elements in eV per atom: -0.166

=====

Number 1: DOS at the Fermi energy 5.707 states/eV/f.u., total energy -5.262 eV/atom. Number 2: DOS at the Fermi energy 0.000 states/eV/f.u., total energy -4.431 eV/atom. Number 3: DOS at the Fermi energy 1.635 states/eV/f.u., total energy -6.294 eV/atom.

~~~~~

Run 1
First-principles (PBE-GGA) data for a relaxed structure of HfGeH, as listed in Alexandria via LeMat-Bulk.

Values from the calculation:
Magnetization ... 0.0 μB/f.u.
Fermi-level density of states ... 0.155 states/eV/atom

abc: 3.6810 5.2903 5.3375
angles: 119.39 110.16 69.62
With the nearest neighbours (Å) after each atom.
Sites, in units of the cell vectors:
Hf 0.3024 0.2228 0.3273  3 H 2.00-2.06
Hf 0.6977 0.7772 0.6727  3 H 2.00-2.06
H 0.2975 0.6006 0.6953  3 Hf 2.00-2.06
H 0.7026 0.3994 0.3047  3 Hf 2.00-2.06
Ge 0.0176 0.2392 0.7741  2 Ge 2.62-2.77, 3 H 2.71-2.78, 6 Hf 2.81-2.92
Ge 0.9824 0.7608 0.2259  2 Ge 2.62-2.77, 3 H 2.71-2.78, 6 Hf 2.81-2.92



Run 2
First-principles (PBE-GGA) data for a relaxed structure of HfGeH, as listed in Alexandria via LeMat-Bulk.

Values from the calculation:
Magnetization ... 0.0 μB/f.u.
Fermi-level density of states ... 0.411 states/eV/atom

abc: 3.9937 3.4501 3.4501
angles: 120.00 90.00 90.00
With the nearest neighbours (Å) after each atom.
Sites, in units of the cell vectors:
Hf 0.1670 0.6667 0.3333  3 H 1.99
Ge 0.6669 0.3333 0.6667  6 H 2.82, 6 Hf 2.82
H 0.1660 0.0000 0.0000  3 Hf 1.99



Run 3
First-principles (PBE-GGA) data for a relaxed structure of HfGeH, as listed in Alexandria via LeMat-Bulk.

Values from the calculation:
Magnetization ... 0.0 μB/f.u.
Fermi-level density of states ... 0.312 states/eV/atom

abc: 3.4617 5.7645 8.1631
angles: 90.00 90.00 90.00
With the nearest neighbours (Å) after each atom.
Sites, in units of the cell vectors:
H 0.2500 0.6060 0.2724  3 Hf 1.98-1.99
H 0.7500 0.1060 0.2276  3 Hf 1.98-1.99
H 0.7500 0.3940 0.7276  3 Hf 1.98-1.99
H 0.2500 0.8940 0.7724  3 Hf 1.98-1.99
Ge 0.2500 0.1758 0.5068  2 Ge 2.67, 5 H 2.71-2.89, 6 Hf 2.77-2.96
Ge 0.7500 0.8242 0.4932  2 Ge 2.67, 5 H 2.71-2.89, 6 Hf 2.77-2.96
Ge 0.7500 0.6758 0.9932  2 Ge 2.67, 5 H 2.71-2.89, 6 Hf 2.77-2.96
Ge 0.2500 0.3242 0.0068  2 Ge 2.67, 5 H 2.71-2.89, 6 Hf 2.77-2.96
Hf 0.2500 0.9404 0.2107  3 H 1.98-1.99
Hf 0.2500 0.5596 0.7107  3 H 1.98-1.99
Hf 0.7500 0.4404 0.2893  3 H 1.98-1.99
Hf 0.7500 0.0596 0.7893  3 H 1.98-1.99



Tell me which of them is the most stable. Sure, it is run 1.



Run 1
First-principles (PBE-GGA) data for a relaxed structure of Hf3GeH, as listed in Alexandria via LeMat-Bulk.

Values from the calculation:
~~~
(1)
Computed, not measured: a relaxed structure of LaDyY at the GGA-PBE level of DFT.

```
LaDyY
1.0
5.721 0.000 0.000
-2.860 4.954 0.000
0.000 0.000 3.535
La Dy Y
1 1 1
direct
0.000 0.000 0.000
0.333 0.667 0.000
0.667 0.333 0.500
```

Space-group type: P-6m2
Excess energy over the best structure of this formula in the dataset in kJ/mol of formula units: 15
Energy relative to the elements in eV per atom: 0.070

=====

(2)
Computed, not measured: a relaxed structure of Ca4Te3S at the GGA-PBE level of DFT.

```
Ca4Te3S
1.0
7.650 0.000 0.000
0.000 8.835 0.000
-2.544 0.000 7.178
Ca Te S
8 6 2
direct
0.229 0.114 0.005
0.229 0.886 0.505
0.243 0.362 0.487
0.243 0.638 0.987
0.757 0.362 0.013
0.757 0.638 0.513
0.771 0.114 0.495
0.771 0.886 0.995
0.000 0.373 0.750
0.000 0.627 0.250
0.500 0.123 0.750
0.500 0.374 0.250
0.500 0.626 0.750
0.500 0.877 0.250
0.000 0.120 0.250
0.000 0.880 0.750
```

Space-group type: P2/c

=====

(3)
Computed, not measured: a relaxed structure of LiVRh at the GGA-PBE level of DFT.

```
LiVRh
1.0
4.048 0.000 0.000
-2.024 3.505 0.000
0.000 0.000 5.618
Li V Rh
2 2 2
direct
0.333 0.667 0.426
0.667 0.333 0.574
0.333 0.667 0.902
0.667 0.333 0.098
0.000 0.000 0.243
0.000 0.000 0.757
```

Space-group type: P-3m1
Excess energy over the best structure of this formula in the dataset in kJ/mol of formula units: 38
Energy relative to the elements in eV per atom: -0.166

=====

Number 1: DOS at the Fermi energy 5.707 states/eV/f.u., total energy -5.262 eV/atom. Number 2: DOS at the Fermi energy 0.000 states/eV/f.u., total energy -4.431 eV/atom. Number 3: DOS at the Fermi energy 1.635 states/eV/f.u., total energy -6.294 eV/atom.

~~~~~

Run 1
First-principles (PBE-GGA) data for a relaxed structure of HfGeH, as listed in Alexandria via LeMat-Bulk.

Values from the calculation:
Magnetization ... 0.0 μB/f.u.
Fermi-level density of states ... 0.155 states/eV/atom

abc: 3.6810 5.2903 5.3375
angles: 119.39 110.16 69.62
With the nearest neighbours (Å) after each atom.
Sites, in units of the cell vectors:
Hf 0.3024 0.2228 0.3273  3 H 2.00-2.06
Hf 0.6977 0.7772 0.6727  3 H 2.00-2.06
H 0.2975 0.6006 0.6953  3 Hf 2.00-2.06
H 0.7026 0.3994 0.3047  3 Hf 2.00-2.06